176 articles · 67.3K karma · 202 friends · active 1 day, 23 hours ago

I'm a retired Lieutenant Fire Fighter / EMT. Prior to working as a Firefighter, I also served in Law Enforcement for several years.

In following with our long line of family military service, dating all the way back to 1776, I'm a US Army veteran (tanker). I served mostly in the M-60A1 and eventually the M1-A1 series tanks. I was a crew member in the Abrams only for a short while.

My Dad was kind of like "Lt. Dan" from the movie Forrest Gump. Fortunately dear old Dad broke our "family curse" of having members killed in every major conflict that the United States has ever had. My Dad was wounded in the Korean War, and thankfully he was not killed. Otherwise I wouldn't be here if he was. I accidentally happened some years later...

My other hobbies include restoring old "Mopar" muscle cars from the late 1960's and early '70s. I also enjoy building aircraft in 1/48 & 1/32 scale, along with 1/35 Armor. I especially like the WW2 stuff. Lately I have been gravitating towards the First World War 1/32 scale aviation kits though...

I built my first model (Revell 1/32 P-40 "Flying Tigers" version) when I was 8 years old. I currently have about 700 kits ( of which about 1/4 are built).

A new group build has been started..... it's called "The Great War"

Hello again everyone. The time has certainly flown by. The last time I mentioned this was about two weeks ago. Now here we are... and today is the first official day of the start of the First World War. I have started a new group [...]

=====
Molecular formula: C9H14O
Method: DFT, the ωB97M-V functional and the def2-TZVPD basis

Results
orbital gap	0.3336	Ha
structure (SMILES)	Cc1ccc(O)cc1.CC
relative energy (zero: lowest compared OMol25 entry of this formula, charge and spin)	1.353	eV
total energy	-426.52306	hartree

Structure (ORCA input):
```
! RIJCOSX wB97M-V def2-TZVPD def2/J DEFGRID3
* xyz 0 1
C -2.27855 -2.40473 -0.13358
C -1.34353 -1.60787 -0.96847
C -0.02699 -1.44037 -0.54562
C 0.76538 -0.51339 -1.23928
C 0.23364 0.23475 -2.24727
O 0.97018 1.31087 -2.63638
C -1.08877 -0.04073 -2.76835
C -1.87518 -0.94213 -2.07868
H -3.29042 -2.13480 -0.33273
H -2.10574 -2.48869 0.94676
H -2.02207 -3.44168 -0.57565
H 0.41542 -2.08704 0.28471
H 1.79439 -0.32001 -0.95937
H 0.96552 1.38253 -3.63666
H -1.37114 0.55415 -3.58752
H -2.88060 -1.25279 -2.47018
C 1.15405 1.79764 2.33282
C 2.18753 1.99335 3.48616
H 0.26738 1.16707 2.59337
H 0.64946 2.85348 2.03693
H 1.65698 1.37631 1.37594
H 1.82407 2.83234 4.11953
=====

Reminder for the upcoming Great War group build

Hello again my friends. This is just a quick reminder that we will have a new group build starting in a little over two weeks from now. It will be for anything that is somehow related to the First World War. Aircraft, Armor, [...]

Invasion Stripes / Flight 19 P-51B Mustang Viscous Virgie, The Flying Scott

This is the old 1/48 scale Tamiya P-51B Mustang... or is it ? It also happens to the the VERY FIRST razorback Mustang I have built in about 20 years. With those being the Accurate Miniatures kits which were pretty nice. Say it isn't [...]

Invasion Stripes / Flight 19, 1/48 Tamiya Republic P-47D-28RA Thunderbolt "Eileen"

Building this model was a first for me. Believe it or not, this is my VERY first Tamiya P-47. EVER ! I know, sad but very true. I know, I need to get seated at the bench more often... but life has a bad habit of interfering with the [...]

Invasion Stripes / Flight 19 Bristol Beaufighter TF Mk X 236 Squadron RAF, Tamiya 1/48

This is a kit I have had in the stash for about 15 years or more. I jumped at the opportunity to build it as a part of our D Day / Invasion stripe group build as a part of Flight 19 group. (link) Previously I had wanted to build this [...]

Invasion Stripes / Flight 19 "FJB" 164 Squadron RAF Hawker Typhoon Mk-1b, Revell 1/32 car door converted to a bubble top.

"The Argentine Squadron" This is a kit that I have had in "Ye Olde Stash" for years now. I picked it up shortly after I got back into the hobby again, sometime around the mid 1990's. These markings are something that [...]

Idea for a new group build. The Great War 1914 - 1918

The First World War started on 28 July, 1914 and ended four years later on 11 November, 1918. I was thinking about starting a new group build that was dedicated to the men and women who were there. It would follow the exact same dates as [...]

1/48 ICM 48195 Ki-21 Ib "Sally" Japanese Heavy Bomber with 60th Sentai markings.

This is a model I recently built. I knew when I heard it was coming out I immediately placed one on Pre Order with Squadron. I am a huge fan of WW2 era Japanese aircraft. When it finally arrived, I posted a kit review on the kit. Next I [...]

Review: 1/48 scale MiniArt P-47D-30RE Thunderbolt "basic" # 48023 Kit Review

This is a model that I knew I had to get my hands on once it was available. Lo and behold, it was offered for "Presale" at Squadron a month or so ago... Just when I spent too much on other kits for Christmas and I thought my [...]

Review: Kit Review for 1/48 scale ICM Ki-21 "Sally" #48195

This is a model that I have been wanting for many years. I have not included any of the history behind this aircraft. Several years ago I read that ICM was going to someday be releasing a kit of this plane in 1/48 scale. Once I knew [...]